-- Entries --
-- begin --
Molecular formula: H3NO4P
Method: DFT, wB97M-V/def2-TZVPD

Last column: natural (NBO) charge in e.
CARTESIAN COORDINATES (ANGSTROEM)
N  -1.69539  0.32275  -0.24980  -1.0780
O  0.60917  -1.45616  -0.32045  -1.1236
O  0.89675  -0.08127  1.83059  -1.1198
O  1.33515  1.07483  -0.42161  -0.5827
O  2.55640  0.33390  -0.30796  -0.5637
P  1.19920  -0.33047  0.41916  2.3991
H  -0.87712  0.14696  0.33561  0.3677
H  -2.54784  -0.31222  -0.09425  0.3477
H  -1.47632  0.30169  -1.19130  0.3533

Values from the calculation:
ΔE to the lowest compared entry with this formula, charge and spin = 1.214 eV
Strongest force on any atom = 3.6 eV Å⁻¹
Charge = -1
E_HOMO = -5.069 eV
Spin multiplicity = 1

~~~~~

Record 1
Below is H2NO2S3 as an isolated structure, with properties calculated with ωB97M-V/def2-TZVPD.

Each line ends with the natural charge from an NBO analysis.
Geometry (Å):
N -1.108 -0.674 0.937  -0.87
O -0.045 -0.028 -1.259  -0.98
O 0.328 1.295 0.863  -0.91
S -2.140 -1.445 -0.037  0.29
S 3.085 0.404 -0.174  -0.86
S 0.322 -0.185 0.151  1.67
H 1.248 1.572 0.739  0.52
H -1.690 -0.937 -1.221  0.14

Values from the calculation:
2S+1: 1
HOMO level (spin up / spin down) (eV): -3.7330 / -3.3548
Energy (eV): -38121.4689
Total charge: -1
HOMO-LUMO gap (spin up / spin down) (eV): 6.00 / 6.37

=====

Record 2
Below is an isolated ion of composition H2NO3PS and charge -2, with properties calculated with ωB97M-V/def2-TZVPD.

Each line ends with the natural charge from an NBO analysis.
Geometry (Å):
O 1.101 -0.918 1.485  -1.22
P 0.509 -0.608 0.168  2.44
O 1.313 -1.057 -1.045  -1.22
O -1.018 -1.226 0.118  -1.04
N 0.139 1.096 0.173  -1.16
S -1.390 1.713 -0.695  -0.65
H -1.633 -0.663 -0.195  0.49
H 0.980 1.663 -0.010  0.35

Values from the calculation:
2S+1: 1
HOMO level (eV): 1.2922
Energy (eV): -27790.7803
Total charge: -2
HOMO-LUMO gap (eV): 5.09

=====

Record 3
Below is a 2-piece molecular cluster, H2NO3S overall, with properties calculated with ωB97M-V/def2-TZVPD.

Each line ends with the natural charge from an NBO analysis.
Geometry (Å):
N -0.475 0.279 0.704  -0.76
O -1.082 -1.055 1.047  -0.66
O -2.883 0.657 -0.284  -0.99
O 2.398 0.214 -0.573  -0.98
S -1.660 -0.132 -0.275  1.42
H 1.616 0.677 -0.142  0.50
H 2.086 -0.641 -0.476  0.46

Values from the calculation:
2S+1: 1
HOMO level (eV): -3.1062
Energy (eV): -18498.2840
Total charge: -1
HOMO-LUMO gap (eV): 7.29

=====

Record 4
Below is an isolated ion of composition H2NO3S and charge -1, with properties calculated with ωB97M-V/def2-TZVPD.

Each line ends with the natural charge from an NBO analysis.
Geometry (Å):
N 1.348 -0.012 -0.180  -1.03
S -0.674 0.130 0.355  2.39
O -1.325 -0.087 -0.911  -1.01
O -0.842 -1.017 1.281  -1.01
O -0.873 1.437 0.991  -0.98
H 1.227 -0.967 -0.590  0.33
H 1.139 0.517 -0.946  0.32

Values from the calculation:
2S+1: 1
HOMO level (eV): -5.2612
Energy (eV): -18501.2491
Total charge: -1
HOMO-LUMO gap (eV): 9.48

=====

Record 5
Below is a 2-piece molecular cluster, H2NO4 overall, with properties calculated with ωB97M-V/def2-TZVPD.

Each line ends with the natural charge from an NBO analysis.
Geometry (Å):
N 0.508 -1.078 -0.829  0.24
O 1.405 -0.509 -1.582  -0.57
O -0.531 1.799 0.821  -0.53
O 0.342 -0.971 0.399  -0.33
O -1.123 0.515 0.828  -0.52
H -0.291 -1.533 -1.362  0.28
H -0.311 1.777 1.725  0.43

Values from the calculation:
2S+1: 1
HOMO level (spin up / spin down) (eV): -1.5603 / -2.9333
Energy (eV): -9705.9162
Total charge: -1
HOMO-LUMO gap (spin up / spin down) (eV): 6.48 / 7.84

=====

Record 6
Below is a 2-piece molecular cluster, H2NOS overall, with properties calculated with ωB97M-V/def2-TZVPD.

Each line ends with the natural charge from an NBO analysis.
Geometry (Å):
N 0.680 -0.005 0.651  -0.12
O -0.019 -0.215 1.632  -0.48
S 0.281 -0.710 -1.088  -0.23
H 0.132 1.745 -0.262  -0.25
H -1.073 -0.816 -0.934  0.08

Values from the calculation:
2S+1: 1
HOMO level (spin up / spin down) (eV): -2.8740 / -1.7783
Energy (eV): -14400.9874
Total charge: -1
-- stop --

-- What to do --
Next, search the entries above for the word "cluster" and quote each line that has it.

-- Solution --
Below is a 2-piece molecular cluster, H2NO3S overall, with properties calculated with ωB97M-V/def2-TZVPD.
Below is a 2-piece molecular cluster, H2NO4 overall, with properties calculated with ωB97M-V/def2-TZVPD.
Below is a 2-piece molecular cluster, H2NOS overall, with properties calculated with ωB97M-V/def2-TZVPD.